Time outdoors helps create healthy, environmentally aware children


Outdoor Classroom Day will be celebrated across South Africa on 5 November to show why time outdoors is critical for children’s health, wellbeing and their connection to nature

  • 76% of teachers globally say getting outdoors is extremely important for children’s engagement with nature and place1
  • Environmental stewardship and connection with place is strongly related to the amount of time we are immersed in nature as children2
  • NO country offers ALL children a consistent minimum amount of time outdoors for lessons or playtime3
  • Over half (58%) of schools who get involved in Outdoor Classroom Day last year have increased outdoor playtimes4
  • Outdoor Classroom Day will be celebrated by more than 100 000 children in 60 countries around the world on 5 November

Leadership and education non-profit, Symphonia for South Africa, is calling on schools across South Africa to get involved in Outdoor Classroom Day on 5 November. In addition to being a perfect tool to manage schooling in a COVID-19 world, time outdoors is critical for children’s physical and mental health and their connection to nature.

**Attached: crystal structures**
<<<
[1]
Starting from DFT lattice parameters and positions (GGA-PBE), the powder diffraction line list of AcNdBr6 was computed for Cu Kα (λ = 1.5418 Å).
Neutral-atom scattering factors, no anomalous dispersion.

Main lines, by angle (10 to 90 degrees two-theta):
- (0 1 2), d 5.422, I 100
- (1 0 4), d 3.997, I 46
- (1 1 3), d 3.246, I 82
- (2 -1 6), d 2.506, I 79
- (3 -2 2), d 2.351, I 23
- (3 0 0), d 2.130, I 48

Atomic structure:
Cell: 7.3782 7.3782 20.4949 Å, 90.00 90.00 120.00°
Space group R-3 (No. 148, hexagonal axes)
Unique sites:
Ac 0.0000 0.0000 0.0000 (multiplicity 3)
Nd 0.0000 0.0000 0.5000 (multiplicity 3)
Br 0.0021 0.6774 0.4186 (multiplicity 18)


[2]
Starting from DFT lattice parameters and positions (GGA-PBE), the powder diffraction line list of AcNdTeBr was computed for Cu Kα (λ = 1.5418 Å).
Neutral-atom scattering factors, no anomalous dispersion.

Main lines, by angle (10 to 90 degrees two-theta):
- (2 0 0), d 3.910, I 9
- (2 2 0), d 2.765, I 100
- (4 0 0), d 1.955, I 18
- (4 2 2), d 1.596, I 39
- (4 4 0), d 1.382, I 12
- (6 2 0), d 1.236, I 17

Atomic structure:
Cell: 7.820 7.820 7.820 Å, 90.00 90.00 90.00°
Space group F-43m (No. 216)
Unique sites:
Ac 0.000 0.000 0.000 (multiplicity 4)
Nd 0.000 0.000 0.500 (multiplicity 4)
Te 0.250 0.250 0.250 (multiplicity 4)
Br 0.250 0.250 0.750 (multiplicity 4)


[3]
Starting from DFT lattice parameters and positions (GGA-PBE), the powder diffraction line list of Ac8NiRu3Br4 was computed for Cu Kα (λ = 1.5418 Å).
Neutral-atom scattering factors, no anomalous dispersion.

Main lines, by angle (10 to 90 degrees two-theta):
- (0 0 1), d 8.336, I 25
- (2 2 0), d 3.562, I 25
- (4 0 0), d 3.195, I 100
- (2 2 -3), d 2.576, I 19
- (2 2 2), d 2.392, I 27
- (0 4 0), d 2.146, I 39

Atomic structure:
Cell: 14.866 8.583 9.698 Å, 90.00 120.73 90.00°
Space group C2/m (No. 12)
Unique sites:
Ac 0.019 0.247 0.307 (multiplicity 8)
Ac 0.233 0.000 0.696 (multiplicity 4)
Ac 0.234 0.500 0.693 (multiplicity 4)
Ni 0.000 0.500 0.500 (multiplicity 2)
Ru 0.000 0.000 0.500 (multiplicity 2)
Ru 0.250 0.250 0.500 (multiplicity 4)
Br 0.000 0.000 0.000 (multiplicity 2)
Br 0.000 0.500 0.000 (multiplicity 2)
Br 0.250 0.250 0.000 (multiplicity 4)


[4]
Starting from DFT lattice parameters and positions (GGA-PBE), the powder diffraction line list of AcPb2BrO4 was computed for Cu Kα (λ = 1.5418 Å).
Neutral-atom scattering factors, no anomalous dispersion.

Main lines, by angle (10 to 90 degrees two-theta):
- (1 0 2), d 3.121, I 100
- (1 1 0), d 2.930, I 36
- (2 0 0), d 2.072, I 20
- (1 1 4), d 1.844, I 22
- (2 1 2), d 1.726, I 43
- (3 0 2), d 1.326, I 13

Atomic structure:
Cell: 4.143 4.143 9.491 Å, 90.00 90.00 90.00°
Space group P4/mmm (No. 123)
Unique sites:
Ac 0.000 0.000 0.000 (multiplicity 1)
Pb 0.500 0.500 0.273 (multiplicity 2)
Br 0.000 0.000 0.500 (multiplicity 1)
O 0.000 0.500 0.163 (multiplicity 4)


[5]
>>>
**Here the article continues**

Despite the unprecedented challenges of 2020, more than 2000 children across the country have been registered to celebrate Outdoor Classroom Day this year. Under ordinary circumstances, teachers are urged to take lessons outdoors on the day and increase playtime, but this year teachers, parents and children are being challenged to celebrate in whatever way they can. Some will plant seeds to mark the day, while others will plan outdoor activities that can be done at home.

The article is interrupted by crystal structures.
********
Record 1
# HoRhO
Theoretical XRD peak list, Cu Kα, 1.54184 Å. Input: a GGA-PBE-relaxed structure.

Most intense lines, 15° ≤ 2θ ≤ 90°, most intense first:
2θ/deg	intensity
34.1	100
29.2	97
42.5	72
29.5	53
18.5	48
47.4	44

```
HoRhO
1.0
3.7480 0.0000 0.0000
0.0000 5.3163 0.0000
0.0000 0.0000 11.0659
Ho Rh O
4 4 4
direct
0.0000 0.0000 0.1455 Ho
0.0000 0.0000 0.8545 Ho
0.5000 0.5000 0.3545 Ho
0.5000 0.5000 0.6455 Ho
0.0000 0.2324 0.5000 Rh
0.0000 0.7676 0.5000 Rh
0.5000 0.2676 0.0000 Rh
0.5000 0.7324 0.0000 Rh
0.0000 0.0000 0.3375 O
0.0000 0.0000 0.6625 O
0.5000 0.5000 0.1625 O
0.5000 0.5000 0.8375 O
```

Record 2
# LaCe2PbN2
Theoretical XRD peak list, Cu Kα, 1.54184 Å. Input: a GGA-PBE-relaxed structure.

Most intense lines, 15° ≤ 2θ ≤ 90°, most intense first:
2θ/deg	intensity
32.5	100
27.4	74
51.7	54
39.1	35
80.0	15
87.7	14

```
LaCe2PbN2
1.0
4.6114 0.0000 0.0000
0.0000 4.6114 0.0000
0.0000 0.0000 6.8817
La Ce Pb N
1 2 1 2
direct
0.0000 0.0000 0.0000 La
0.5000 0.5000 0.2235 Ce
0.5000 0.5000 0.7765 Ce
0.0000 0.0000 0.5000 Pb
0.0000 0.5000 0.0000 N
0.5000 0.0000 0.0000 N
```

Record 3
# PaSb2PbO8
Theoretical XRD peak list, Cu Kα, 1.54184 Å. Input: a GGA-PBE-relaxed structure.

Most intense lines, 15° ≤ 2θ ≤ 90°, most intense first:
2θ/deg	intensity
29.9	100
29.6	91
17.0	73
20.9	52
42.6	50
52.7	45

```
PaSb2PbO8
1.0
6.0366 0.0000 0.0000
-3.0183 5.2278 0.0000
0.0000 0.0000 7.2867
Pa Sb Pb O
1 2 1 8
direct
0.0000 0.0000 0.0000 Pa
0.3333 0.6667 0.2937 Sb
0.6667 0.3333 0.7063 Sb
0.0000 0.0000 0.5000 Pb
0.1579 0.3157 0.1953 O
0.1579 0.8421 0.1953 O
0.3157 0.1579 0.8047 O
0.3333 0.6667 0.5513 O
0.6667 0.3333 0.4487 O
0.6842 0.8421 0.1953 O
0.8421 0.1579 0.8047 O
0.8421 0.6842 0.8047 O
```

Record 4
# Ac3NdDy8
Theoretical XRD peak list, Cu Kα, 1.54184 Å. Input: a GGA-PBE-relaxed structure.

Most intense lines, 15° ≤ 2θ ≤ 90°, most intense first:
2θ/deg	intensity
31.6	100
31.8	47
30.5	36
54.9	31
58.9	22
27.6	22

```
Ac3NdDy8
1.0
-5.6021 5.8642 3.2106
5.6021 -5.8642 3.2106
5.6021 5.8642 -3.2106
Ac Nd Dy
3 1 8
direct
0.0000 0.0000 0.0000 Ac
0.1028 0.3552 0.7476 Ac
0.6077 0.3552 0.2524 Ac
0.5019 0.0019 0.5000 Nd
0.0183 0.3478 0.3295 Dy
0.0183 0.6888 0.6705 Dy
0.0971 0.0155 0.4233 Dy
0.0971 0.6738 0.0816 Dy
0.5154 0.3403 0.8249 Dy
0.5154 0.6905 0.1751 Dy
0.5923 0.0155 0.9184 Dy
0.5923 0.6738 0.5767 Dy
```

Please write out number 3 again, unchanged.
# PaSb2PbO8
Theoretical XRD peak list, Cu Kα, 1.54184 Å. Input: a GGA-PBE-relaxed structure.

Most intense lines, 15° ≤ 2θ ≤ 90°, most intense first:
2θ/deg	intensity
29.9	100
29.6	91
17.0	73
20.9	52
42.6	50
52.7	45

```
PaSb2PbO8
1.0
6.0366 0.0000 0.0000
-3.0183 5.2278 0.0000
0.0000 0.0000 7.2867
Pa Sb Pb O
1 2 1 8
direct
0.0000 0.0000 0.0000 Pa
0.3333 0.6667 0.2937 Sb
0.6667 0.3333 0.7063 Sb
0.0000 0.0000 0.5000 Pb
0.1579 0.3157 0.1953 O
0.1579 0.8421 0.1953 O
0.3157 0.1579 0.8047 O
0.3333 0.6667 0.5513 O
0.6667 0.3333 0.4487 O
0.6842 0.8421 0.1953 O
0.8421 0.1579 0.8047 O
0.8421 0.6842 0.8047 O
```
********

Lynda Smith, Programme Manager for Outdoor Classroom Day in South Africa, said: “We all know that being outdoors can make us feel good, but it also has some real benefits to children – teachers tell us time and again and the research backs it up. But today’s children are spending less time outdoors than ever before and this is having a detrimental impact. Outdoor Classroom Day is about recognising this and taking steps towards making time outdoors a key part of the school day.”

Ridwan Samodien, Principal of Kannemeyer Primary School, said: “We’re getting involved on 5 November because we believe that taking learning outside the classroom is good for everyone – including the planet! When our children are outdoors, they are curious about the natural world. Observing their sense of awe as they discover bugs in nature and listening to their ideas on how we can protect the creatures we share the planet with is truly inspiring.”

-- begin --
No. 1
Simulated PXRD pattern
Compound: PrSmBi4
Radiation: copper Kα
Structure: a structure optimized by DFT (PBE)
Kinematic intensities with the Lorentz-polarization factor, no thermal factor.

Structural model:
```
PrSmBi4
1.0
4.660 0.000 0.000
0.000 2.314 8.619
0.000 -2.314 8.619
Pr Sm Bi
1 1 4
Direct
0.000 0.000 0.000 Pr
0.500 0.202 0.202 Sm
0.000 0.349 0.349 Bi
0.000 0.672 0.672 Bi
0.500 0.531 0.531 Bi
0.500 0.849 0.849 Bi
```

The 8 most intense peaks (2θ = 10–90°), in order of rising 2θ:
d/Å	I (rel.)
2.873	22
2.851	100
2.330	15
2.314	15
1.810	12
1.654	13
1.426	24
1.419	12

=====

No. 2
Simulated PXRD pattern
Compound: PrSmZr2Bi2
Radiation: copper Kα
Structure: a structure optimized by DFT (PBE)
Kinematic intensities with the Lorentz-polarization factor, no thermal factor.

Structural model:
```
PrSmZr2Bi2
1.0
-2.198 2.198 8.649
2.198 -2.198 8.649
2.198 2.198 -8.649
Pr Sm Zr Bi
1 1 2 2
Direct
0.000 0.000 0.000 Pr
0.354 0.354 0.000 Sm
0.178 0.678 0.500 Zr
0.678 0.178 0.500 Zr
0.548 0.548 0.000 Bi
0.808 0.808 0.000 Bi
```

The 8 most intense peaks (2θ = 10–90°), in order of rising 2θ:
d/Å	I (rel.)
3.108	51
2.925	50
2.883	23
2.718	57
2.524	100
2.198	59
1.709	29
1.323	27

=====

No. 3
Simulated PXRD pattern
Compound: Pr5Sn2Bi2
Radiation: copper Kα
Structure: a structure optimized by DFT (PBE)
Kinematic intensities with the Lorentz-polarization factor, no thermal factor.

Structural model:
```
Pr5Sn2Bi2
1.0
8.107 -4.255 0.000
8.107 4.255 0.000
0.000 0.000 8.552
Pr Sn Bi
10 4 4
Direct
0.000 0.000 0.000 Pr
0.037 0.696 0.668 Pr
0.196 0.537 0.168 Pr
0.304 0.963 0.668 Pr
0.463 0.804 0.168 Pr
0.500 0.500 0.500 Pr
0.537 0.196 0.832 Pr
0.696 0.037 0.332 Pr
0.804 0.463 0.832 Pr
0.963 0.304 0.332 Pr
0.130 0.870 0.370 Sn
0.370 0.630 0.870 Sn
0.630 0.370 0.130 Sn
0.870 0.130 0.630 Sn
0.205 0.205 0.000 Bi
0.295 0.295 0.500 Bi
0.705 0.705 0.500 Bi
0.795 0.795 0.000 Bi
```

The 8 most intense peaks (2θ = 10–90°), in order of rising 2θ:
d/Å	I (rel.)
3.120	93
3.016	78
2.938	100
2.856	68
2.776	84
2.666	72
2.656	72
1.518	44

=====

No. 4
Simulated PXRD pattern
Compound: PrY2Bi3
Radiation: copper Kα
Structure: a structure optimized by DFT (PBE)
Kinematic intensities with the Lorentz-polarization factor, no thermal factor.

Structural model:
```
PrY2Bi3
1.0
4.512 0.000 0.000
-2.256 3.908 0.000
0.000 0.000 11.059
Pr Y Bi
1 2 3
Direct
0.000 0.000 0.000 Pr
0.333 0.667 0.337 Y
0.667 0.333 0.663 Y
0.000 0.000 0.500 Bi
0.333 0.667 0.825 Bi
0.667 0.333 0.175 Bi
```

The 8 most intense peaks (2θ = 10–90°), in order of rising 2θ:
d/Å	I (rel.)
3.685	18
3.191	100
2.257	77
1.924	10
1.842	28
1.596	13
1.427	36
1.303	27

=====

No. 5
Simulated PXRD pattern
Compound: BiPt15
Radiation: copper Kα
Structure: a structure optimized by DFT (PBE)
Kinematic intensities with the Lorentz-polarization factor, no thermal factor.

Structural model:
```
BiPt15
1.0
7.843 0.000 0.000
0.000 2.841 0.000
-0.034 0.000 36.184
Bi Pt
2 30
Direct
0.125 0.250 0.300 Bi
0.875 0.750 0.700 Bi
-- stop --

Find out more about Outdoor Classroom Day at: https://outdoorclassroomday.co.za/
